-- Job --
Filter the lines underneath: keep the lines with the word "peaks".
-- Contents --
┌──
Theoretical powder diffractogram of Pr2Y3Ho6 for λ = 1.5418 Å (Cu Kα), from a structure optimized by DFT (GGA-PBE).
No peak broadening, texture or thermal motion is included.

Main lines, sorted by position (2θ = 10–80°):
d_spacing  two_theta  I/Imax
8.290  10.7  27
3.115  28.7  100
2.763  32.4  24
2.611  34.3  94
2.377  37.8  60
1.802  50.7  27
1.479  62.8  22
1.413  66.1  28

Crystal structure
Cell: 4.754 4.754 33.160 Å, 90.00 90.00 90.00°
Space group I4/mmm (No. 139)
Inequivalent atoms, fractional coordinates:
Pr 0.000 0.000 0.046 [4 per cell]
Y 0.000 0.000 0.297 [4 per cell]
Y 0.000 0.000 0.500 [2 per cell]
Ho 0.000 0.000 0.193 [4 per cell]
Ho 0.000 0.500 0.122 [8 per cell]

=====

# Ca2AlB2Ir5
Calculated PXRD pattern, Cu Kα (weighted mean of Kα1 and Kα2). Input: a crystal structure in Alexandria, relaxed with PBE.
Lines closer than 0.1° are merged.

Largest 6 diffraction maxima, sorted by position, 2θ from 15° to 90°:
| Position (°2θ) | I_rel |
| --- | --- |
| 28.93 | 54 |
| 29.92 | 100 |
| 33.10 | 55 |
| 38.02 | 98 |
| 42.10 | 89 |
| 45.21 | 62 |

```
data_Ca2AlB2Ir5
_symmetry_space_group_name_H-M 'P 1'
_symmetry_Int_Tables_number 1
_cell_length_a 9.759
_cell_length_b 9.759
_cell_length_c 2.987
_cell_angle_alpha 90.00
_cell_angle_beta 90.00
_cell_angle_gamma 90.00
loop_
_symmetry_equiv_pos_as_xyz
'x,y,z'
loop_
_atom_site_label
_atom_site_type_symbol
_atom_site_fract_x
_atom_site_fract_y
_atom_site_fract_z
Ca1 Ca 0.178 0.322 0.000
Ca2 Ca 0.322 0.822 0.000
Ca3 Ca 0.678 0.178 0.000
Ca4 Ca 0.822 0.678 0.000
Al1 Al 0.000 0.000 0.000
Al2 Al 0.500 0.500 0.000
B1 B 0.123 0.623 0.000
B2 B 0.377 0.123 0.000
B3 B 0.623 0.877 0.000
B4 B 0.877 0.377 0.000
Ir1 Ir 0.000 0.500 0.500
Ir2 Ir 0.066 0.782 0.500
Ir3 Ir 0.218 0.066 0.500
Ir4 Ir 0.282 0.566 0.500
Ir5 Ir 0.434 0.282 0.500
Ir6 Ir 0.500 0.000 0.500
Ir7 Ir 0.566 0.718 0.500
Ir8 Ir 0.718 0.434 0.500
Ir9 Ir 0.782 0.934 0.500
Ir10 Ir 0.934 0.218 0.500
```


# CaAlBO4
Calculated PXRD pattern, Cu Kα (weighted mean of Kα1 and Kα2). Input: a crystal structure in Alexandria, relaxed with PBE.
Lines closer than 0.1° are merged.

Largest 6 diffraction maxima, sorted by position, 2θ from 15° to 90°:
| Position (°2θ) | I_rel |
| --- | --- |
| 20.37 | 71 |
| 24.21 | 88 |
| 28.74 | 88 |
| 31.66 | 75 |
| 33.17 | 100 |
| 54.55 | 59 |

```
data_CaAlBO4
_symmetry_space_group_name_H-M 'P 1'
_symmetry_Int_Tables_number 1
_cell_length_a 8.728
_cell_length_b 8.728
_cell_length_c 5.807
_cell_angle_alpha 90.00
_cell_angle_beta 90.00
_cell_angle_gamma 122.60
loop_
_symmetry_equiv_pos_as_xyz
'x,y,z'
loop_
_atom_site_label
_atom_site_type_symbol
_atom_site_fract_x
_atom_site_fract_y
_atom_site_fract_z
Ca1 Ca 0.048 0.236 0.000
Ca2 Ca 0.236 0.048 0.500
Ca3 Ca 0.764 0.952 0.500
Ca4 Ca 0.952 0.764 0.000
Al1 Al 0.284 0.692 0.271
Al2 Al 0.308 0.716 0.771
Al3 Al 0.692 0.284 0.771
Al4 Al 0.716 0.308 0.271
B1 B 0.156 0.372 0.532
B2 B 0.372 0.156 0.032
B3 B 0.628 0.844 0.032
B4 B 0.844 0.628 0.532
O1 O 0.073 0.188 0.559
O2 O 0.178 0.451 0.315
O3 O 0.188 0.073 0.059
O4 O 0.203 0.733 0.018
O5 O 0.217 0.479 0.730
O6 O 0.267 0.797 0.518
O7 O 0.451 0.178 0.815
O8 O 0.479 0.217 0.230
O9 O 0.521 0.783 0.230
O10 O 0.549 0.822 0.815
O11 O 0.733 0.203 0.518
O12 O 0.783 0.521 0.730
O13 O 0.797 0.267 0.018
O14 O 0.812 0.927 0.059
O15 O 0.822 0.549 0.315
O16 O 0.927 0.812 0.559
```

=====

Record 1
For TbAl2Fe9, a structure optimized by DFT (GGA-PBE) gives the computed X-ray diffraction stick pattern in this record (a wavelength of 1.5418 Å).

The 6 most intense peaks (10° ≤ 2θ ≤ 90°), low angle first:
d 3.597, I 394, (1 1 1)
d 2.428, I 387, (2 2 1)
d 2.233, I 1000, (3 1 1)
d 2.008, I 390, (2 0 2)
d 1.955, I 415, (4 1 0)
d 1.949, I 444, (2 1 2)

Crystal structure
```
data_TbAl2Fe9
_chemical_formula_sum 'Tb2 Al4 Fe18'
_symmetry_space_group_name_H-M 'P 4/m b m'
_symmetry_Int_Tables_number 127
_symmetry_space_group_name_Hall '-P 4 2ab'
_cell_length_a 8.062
_cell_length_b 8.062
_cell_length_c 4.632
_cell_angle_alpha 90.00
└──
-- Here it is --
The 6 most intense peaks (10° ≤ 2θ ≤ 90°), low angle first: